Request:
Reproduce everything underneath without additions.

Listing:
/*
Record 1
C43H93N2O29P7S | ωB97M-V/def2-TZVPD

Atoms and positions in Å:
C  10.151023  -2.271918  1.348417
C  8.719496  -1.993085  0.882176
C  7.666948  -3.104174  1.026726
C  8.371746  -0.809859  0.365153
C  6.945916  -0.248028  0.368037
C  6.391446  -0.127850  -1.072965
C  4.957689  0.506223  -1.194668
C  4.325323  0.922992  0.147725
C  4.012463  -0.369682  -2.084071
C  3.676139  -1.741360  -1.413623
O  2.304485  -2.148455  -1.601652
P  1.505580  -2.527645  -0.267625
O  2.338890  -3.113572  0.786088
O  0.566086  -1.347431  0.300929
C  1.077186  -0.013539  0.170224
C  -0.152039  0.876450  -0.152703
C  -1.271726  0.708965  0.907915
C  -1.621428  2.009757  1.685040
S  -1.941273  3.446564  0.604987
C  -0.603818  4.550930  1.000257
N  -0.723289  5.771926  1.389552
N  0.567090  6.214562  1.591179
C  1.363293  5.252959  1.317503
O  0.685283  4.129048  0.935781
O  0.463678  -3.672124  -0.753136
C  -0.648777  -3.726192  0.184537
C  -1.310756  -5.100409  0.197808
C  -2.473283  -5.202787  1.228226
C  -2.205812  -4.504769  2.557520
C  -3.011998  -3.519736  3.111643
C  -2.651756  -2.912300  4.322291
C  -1.489301  -3.258447  4.993245
C  -0.666138  -4.268557  4.454826
C  -1.036785  -4.858286  3.260609
H  10.631816  -1.317217  1.603573
H  10.758728  -2.772123  0.576330
H  10.135787  -2.909737  2.245509
H  7.115954  -3.006621  1.977391
H  6.957012  -3.102681  0.173919
H  8.185178  -4.075613  1.060361
H  9.183634  -0.195826  -0.053106
H  6.332925  -0.857560  1.046160
H  7.039956  0.745906  0.840422
H  6.380123  -1.124190  -1.541056
H  7.098262  0.513916  -1.624003
H  5.082903  1.446221  -1.765478
H  5.010365  1.550134  0.741634
H  4.092015  0.062695  0.801989
H  3.393225  1.496231  0.037931
H  3.098558  0.223361  -2.270509
H  4.543873  -0.501663  -3.038634
H  4.307761  -2.487977  -1.916046
H  4.000235  -1.670992  -0.368719
H  1.785456  0.128444  -0.650763
H  1.447623  0.315898  1.152814
H  -0.547874  0.488242  -1.110168
H  0.130805  1.919585  -0.355972
H  -2.193453  0.321516  0.445111
H  -0.991652  -0.038690  1.671089
H  -0.776759  2.219475  2.359977
H  -2.520341  1.811033  2.284554
H  2.440645  5.343358  1.415943
H  -1.394851  -2.951474  -0.050084
H  -0.212746  -3.581310  1.186710
H  -0.566985  -5.877036  0.451930
H  -1.722589  -5.399802  -0.780347
H  -2.817275  -6.237413  1.371168
H  -3.328857  -4.668363  0.767280
H  -3.923017  -3.195069  2.601993
H  -3.284109  -2.119555  4.734628
H  -1.186379  -2.767965  5.922057
H  0.255886  -4.526636  4.980340
H  -0.390124  -5.633914  2.836288
C  7.415158  -2.789654  -7.460593
O  8.270515  -3.316484  -6.425390
P  7.591722  -3.444735  -4.880710
O  8.811751  -3.041727  -4.119197
O  7.414922  -5.058977  -4.995319
C  8.379369  -5.867075  -5.661125
O  6.445468  -3.408955  -3.691023
C  6.845725  -3.844731  -2.395305
H  7.984171  -2.750633  -8.386567
H  6.545549  -3.437112  -7.604836
H  7.085728  -1.780999  -7.204938
H  9.396083  -5.520149  -5.474870
H  8.175511  -5.880450  -6.731473
H  8.278961  -6.883014  -5.281859
H  7.479463  -3.096466  -1.922301
H  7.362150  -4.802451  -2.450996
H  5.945798  -3.963156  -1.790440
C  -3.737692  6.168060  1.372046
O  -5.024534  6.547216  1.918064
P  -4.994146  7.530288  3.287583
O  -6.148382  6.887126  3.989893
O  -5.418083  8.862842  2.452577
C  -6.340040  8.798532  1.371077
O  -4.379746  8.481877  4.488031
C  -5.314221  9.096107  5.367875
H  -3.907802  5.526438  0.511701
H  -3.180350  7.051431  1.054318
H  -3.165851  5.619540  2.116287
H  -7.147781  8.093304  1.568963
H  -5.817017  8.525458  0.454833
H  -6.765318  9.792528  1.238131
H  -5.734398  8.362513  6.053056
H  -6.107563  9.591839  4.809357
H  -4.766157  9.838408  5.947992
C  -5.614258  2.430187  3.505046
O  -6.776745  1.593345  3.689115
P  -6.549366  -0.062198  3.433485
O  -7.864174  -0.325261  2.776348
O  -6.553807  -0.398519  5.027255
C  -7.406389  0.298473  5.929991
O  -5.754614  -1.484118  3.142880
C  -6.528844  -2.678821  3.192617
H  -5.897830  3.465386  3.685505
H  -4.829953  2.145125  4.213679
*/

Done:
Record 1
C43H93N2O29P7S | ωB97M-V/def2-TZVPD

Atoms and positions in Å:
C  10.151023  -2.271918  1.348417
C  8.719496  -1.993085  0.882176
C  7.666948  -3.104174  1.026726
C  8.371746  -0.809859  0.365153
C  6.945916  -0.248028  0.368037
C  6.391446  -0.127850  -1.072965
C  4.957689  0.506223  -1.194668
C  4.325323  0.922992  0.147725
C  4.012463  -0.369682  -2.084071
C  3.676139  -1.741360  -1.413623
O  2.304485  -2.148455  -1.601652
P  1.505580  -2.527645  -0.267625
O  2.338890  -3.113572  0.786088
O  0.566086  -1.347431  0.300929
C  1.077186  -0.013539  0.170224
C  -0.152039  0.876450  -0.152703
C  -1.271726  0.708965  0.907915
C  -1.621428  2.009757  1.685040
S  -1.941273  3.446564  0.604987
C  -0.603818  4.550930  1.000257
N  -0.723289  5.771926  1.389552
N  0.567090  6.214562  1.591179
C  1.363293  5.252959  1.317503
O  0.685283  4.129048  0.935781
O  0.463678  -3.672124  -0.753136
C  -0.648777  -3.726192  0.184537
C  -1.310756  -5.100409  0.197808
C  -2.473283  -5.202787  1.228226
C  -2.205812  -4.504769  2.557520
C  -3.011998  -3.519736  3.111643
C  -2.651756  -2.912300  4.322291
C  -1.489301  -3.258447  4.993245
C  -0.666138  -4.268557  4.454826
C  -1.036785  -4.858286  3.260609
H  10.631816  -1.317217  1.603573
H  10.758728  -2.772123  0.576330
H  10.135787  -2.909737  2.245509
H  7.115954  -3.006621  1.977391
H  6.957012  -3.102681  0.173919
H  8.185178  -4.075613  1.060361
H  9.183634  -0.195826  -0.053106
H  6.332925  -0.857560  1.046160
H  7.039956  0.745906  0.840422
H  6.380123  -1.124190  -1.541056
H  7.098262  0.513916  -1.624003
H  5.082903  1.446221  -1.765478
H  5.010365  1.550134  0.741634
H  4.092015  0.062695  0.801989
H  3.393225  1.496231  0.037931
H  3.098558  0.223361  -2.270509
H  4.543873  -0.501663  -3.038634
H  4.307761  -2.487977  -1.916046
H  4.000235  -1.670992  -0.368719
H  1.785456  0.128444  -0.650763
H  1.447623  0.315898  1.152814
H  -0.547874  0.488242  -1.110168
H  0.130805  1.919585  -0.355972
H  -2.193453  0.321516  0.445111
H  -0.991652  -0.038690  1.671089
H  -0.776759  2.219475  2.359977
H  -2.520341  1.811033  2.284554
H  2.440645  5.343358  1.415943
H  -1.394851  -2.951474  -0.050084
H  -0.212746  -3.581310  1.186710
H  -0.566985  -5.877036  0.451930
H  -1.722589  -5.399802  -0.780347
H  -2.817275  -6.237413  1.371168
H  -3.328857  -4.668363  0.767280
H  -3.923017  -3.195069  2.601993
H  -3.284109  -2.119555  4.734628
H  -1.186379  -2.767965  5.922057
H  0.255886  -4.526636  4.980340
H  -0.390124  -5.633914  2.836288
C  7.415158  -2.789654  -7.460593
O  8.270515  -3.316484  -6.425390
P  7.591722  -3.444735  -4.880710
O  8.811751  -3.041727  -4.119197
O  7.414922  -5.058977  -4.995319
C  8.379369  -5.867075  -5.661125
O  6.445468  -3.408955  -3.691023
C  6.845725  -3.844731  -2.395305
H  7.984171  -2.750633  -8.386567
H  6.545549  -3.437112  -7.604836
H  7.085728  -1.780999  -7.204938
H  9.396083  -5.520149  -5.474870
H  8.175511  -5.880450  -6.731473
H  8.278961  -6.883014  -5.281859
H  7.479463  -3.096466  -1.922301
H  7.362150  -4.802451  -2.450996
H  5.945798  -3.963156  -1.790440
C  -3.737692  6.168060  1.372046
O  -5.024534  6.547216  1.918064
P  -4.994146  7.530288  3.287583
O  -6.148382  6.887126  3.989893
O  -5.418083  8.862842  2.452577
C  -6.340040  8.798532  1.371077
O  -4.379746  8.481877  4.488031
C  -5.314221  9.096107  5.367875
H  -3.907802  5.526438  0.511701
H  -3.180350  7.051431  1.054318
H  -3.165851  5.619540  2.116287
H  -7.147781  8.093304  1.568963
H  -5.817017  8.525458  0.454833
H  -6.765318  9.792528  1.238131
H  -5.734398  8.362513  6.053056
H  -6.107563  9.591839  4.809357
H  -4.766157  9.838408  5.947992
C  -5.614258  2.430187  3.505046
O  -6.776745  1.593345  3.689115
P  -6.549366  -0.062198  3.433485
O  -7.864174  -0.325261  2.776348
O  -6.553807  -0.398519  5.027255
C  -7.406389  0.298473  5.929991
O  -5.754614  -1.484118  3.142880
C  -6.528844  -2.678821  3.192617
H  -5.897830  3.465386  3.685505
H  -4.829953  2.145125  4.213679